Exercise:
Next, repeat only the lines below with the word "single" in them.

Input:
'''
# 1
The following is a DFT calculation (the ωB97M-V functional and the def2-TZVPD basis) of 2 unconnected molecules or ions with the total composition CH5S3.

```
9
Properties=species:S:1:pos:R:3
S 2.16211 -1.04644 0.02892
H 3.30079 -0.42515 0.37534
C -1.44278 -0.20390 -0.38229
S -1.53103 1.38526 0.47070
S 0.47417 1.73660 0.89406
H -2.44669 -0.57003 -0.59066
H -0.92676 -0.91680 0.26187
H -0.87129 -0.10018 -1.30542
H 1.28149 0.14064 0.24749
```

- LUMO (eV) = 3.53
- charge = -1
- frontier orbital gap (eV) = 6.294

Here are the Mulliken charges for atoms 1 to 4, given in e: -0.42, 0.07, -0.84, -0.16



# 2
The following is a DFT calculation (the ωB97M-V functional and the def2-TZVPD basis) of a single CH6BN molecule.

```
9
Properties=species:S:1:pos:R:3
B -1.32900 0.63073 -0.10964
N -0.41929 -0.39969 -0.20748
C 0.97648 -0.31033 0.09105
H -2.41255 0.47648 -0.52640
H -0.98829 1.64355 0.37283
H -0.67709 -1.28039 -0.63275
H 1.20434 0.69689 0.43189
H 1.39204 -1.02241 0.96816
H 1.59319 -0.54137 -0.78011
```

- LUMO (eV) = 0.87
- SMILES = BNC
- frontier orbital gap (eV) = 11.047

Here are the Mulliken charges for atoms 1 to 4, given in e: 0.05, -0.18, -0.69, -0.08



# 3
The following is a DFT calculation (the ωB97M-V functional and the def2-TZVPD basis) of 2 unconnected molecules or ions with the total composition CH6BN.

```
9
Properties=species:S:1:pos:R:3
B 1.44931 0.17291 -0.14483
C -1.05895 0.07812 -0.21342
N 0.25219 -0.49315 -0.01991
H 2.32331 -0.44184 0.25689
H 1.35606 1.34262 -0.21791
H -1.84902 -0.30926 -0.69981
H -1.49622 0.03253 1.27481
H -1.22259 1.10655 -0.57938
H 0.24590 -1.48847 0.34356
```

- LUMO (eV) = 0.74
- frontier orbital gap (eV) = 10.326

Here are the Mulliken charges for atoms 1 to 4, given in e: 0.12, -0.71, -0.26, -0.08



# 4
The following is a DFT calculation (the ωB97M-V functional and the def2-TZVPD basis) of a single CH6Cl2Si2 molecule.

```
11
Properties=species:S:1:pos:R:3
Si -1.59214 0.01209 1.22052
Si 0.37030 -0.89001 0.00059
C 1.02512 0.60186 -1.26885
Cl 1.34348 2.13211 -0.38870
Cl 2.60557 -0.03967 -1.95562
H -1.35427 1.26815 1.75230
H -1.57659 -1.06130 2.42712
H -3.03282 0.04488 0.60465
H 0.08538 -1.82889 -0.94231
H 1.64850 -1.22344 0.61587
H 0.47747 0.98421 -2.06558
```

- LUMO (eV) = 0.31
- SMILES = [SiH3][SiH2]C(Cl)Cl
- frontier orbital gap (eV) = 10.247

Here are the Mulliken charges for atoms 1 to 4, given in e: 0.27, 0.47, -0.34, -0.17



# 5
The following is a DFT calculation (the ωB97M-V functional and the def2-TZVPD basis) of a molecular structure, CH6ClIN2OP.

```
13
Properties=species:S:1:pos:R:3
C -1.47364 0.14422 -0.94487
N 0.02270 -1.52957 1.52491
N -1.04019 1.29450 -1.32122
O 1.32803 0.11789 -0.12562
P 0.32157 -0.91478 0.01449
Cl 1.59218 -3.18245 -0.39974
I -3.09177 0.10174 0.36812
H -1.60227 -0.62604 -1.71081
H -0.46622 -2.37563 1.80326
H 0.50531 -1.07948 2.31541
H -1.02147 2.12647 -0.65001
H -0.71780 1.51229 -2.16706
H 1.51292 -3.99840 -1.43176
```

- LUMO (eV) = -5.67
- charge = +1
- frontier orbital gap (eV) = 7.934

Here are the Mulliken charges for atoms 1 to 4, given in e: -0.53, -0.42, -0.20, -0.47



# 6
The following is a DFT calculation (the ωB97M-V functional and the def2-TZVPD basis) of a single CH6N2 molecule.

```
9
Properties=species:S:1:pos:R:3
N 0.76676 1.05158 -0.17678
C -0.15778 -0.22243 -0.56306
N -0.59116 -0.95334 0.70269
H 0.89339 1.65172 -0.96357
H 0.18670 1.64241 0.35366
H -1.07028 -0.01224 -1.07322
H 0.62917 -0.89099 -1.03650
H 0.05957 -1.50268 1.07816
H -0.98106 -0.24132 1.33849
```

- LUMO (eV) = 1.23
- SMILES = NCN
- frontier orbital gap (eV) = 10.697

Here are the Mulliken charges for atoms 1 to 4, given in e: -0.61, -0.27, -0.51, 0.22



# 7
The following is a DFT calculation (the ωB97M-V functional and the def2-TZVPD basis) of a molecular structure, CH6N2.

```
9
Properties=species:S:1:pos:R:3
C 0.94728 -0.55021 -0.20310
N -0.32346 -0.47038 -0.76351
N -0.89812 0.71650 0.58166
H -0.33728 0.22990 -1.50436
H -1.25987 0.01464 1.23184
'''

Worked solution:
The following is a DFT calculation (the ωB97M-V functional and the def2-TZVPD basis) of a single CH6BN molecule.
The following is a DFT calculation (the ωB97M-V functional and the def2-TZVPD basis) of a single CH6Cl2Si2 molecule.
The following is a DFT calculation (the ωB97M-V functional and the def2-TZVPD basis) of a single CH6N2 molecule.